
Another death

Inserted here: calculated crystals:
____________
## 1
Entry from the Materials Project: an optimized crystal structure of AlFe2O4 (PBE+U).

Cell: 5.9212 5.9212 5.9212 Å, 60.00 60.00 60.00°
Atoms (fractional coordinates):
Al 0.2500 0.2500 0.2500
Al 0.0000 0.0000 0.0000
Fe 0.6250 0.1250 0.6250
Fe 0.6250 0.6250 0.1250
Fe 0.1250 0.6250 0.6250
Fe 0.6250 0.6250 0.6250
O 0.8755 0.3735 0.8755
O 0.3745 0.3745 0.8765
O 0.8765 0.3745 0.3745
O 0.3745 0.3745 0.3745
O 0.3735 0.8755 0.8755
O 0.8755 0.8755 0.8755
O 0.8755 0.8755 0.3735
O 0.3745 0.8765 0.3745

Results
Total moment = 1.29 μB/atom
Symmetry = Fd-3m (227)
Crystal system = cubic
V = 10.5 Å³ per atom



## 2
Entry from the Materials Project: an optimized crystal structure of AlFe2O4 (PBE+U).

Cell: 6.4406 6.4406 6.4406 Å, 131.18 131.18 71.52°
Atoms (fractional coordinates):
Al 0.0000 0.0000 0.0000
Al 0.7500 0.2500 0.5000
Fe 0.3750 0.6250 0.2500
Fe 0.3750 0.1250 0.7500
Fe 0.3750 0.6250 0.7500
Fe 0.8750 0.6250 0.2500
O 0.7812 0.2600 0.1088
O 0.1512 0.6724 0.8912
O 0.9688 0.9900 0.3912
O 0.5988 0.5776 0.6088
O 0.0100 0.4012 0.9788
O 0.4224 0.0312 0.0212
O 0.3276 0.2188 0.4788
O 0.7400 0.8488 0.5212

Results
Total moment = 1.17 μB/atom
Symmetry = I4_1/a (88)
Crystal system = tetragonal
V = 10.6 Å³ per atom



Which of them is most stable? Easy: 1.

=====

# 1
Li5Fe8B8O24 | GGA+U | optimized geometry

volume: 10.75 A^3/atom
E: -0.519 Ry/atom
formation energy from the elements: -221 kJ per mole of atoms
energy relative to the lowest polymorph listed for this composition: 0.0 meV/atom
magnetization: 35.000 μB per formula unit

Lattice parameters (Å, degrees): 5.256 5.258 20.204 89.14 89.97 60.10
Space group P1 (No. 1)
Symmetry-distinct sites (fractional):
Li 0.000 0.000 0.000 (multiplicity 1)
Li 0.000 0.001 0.503 (multiplicity 1)
Li 0.305 0.674 0.636 (multiplicity 1)
Li 0.313 0.675 0.132 (multiplicity 1)
Li 0.972 0.986 0.253 (multiplicity 1)
Fe 0.329 0.335 0.018 (multiplicity 1)
Fe 0.329 0.339 0.518 (multiplicity 1)
Fe 0.630 0.010 0.892 (multiplicity 1)
Fe 0.632 0.009 0.393 (multiplicity 1)
Fe 0.636 0.656 0.270 (multiplicity 1)
Fe 0.652 0.665 0.765 (multiplicity 1)
Fe 0.967 0.328 0.643 (multiplicity 1)
Fe 0.969 0.340 0.143 (multiplicity 1)
B 0.306 0.332 0.269 (multiplicity 1)
B 0.310 0.335 0.767 (multiplicity 1)
B 0.640 0.006 0.643 (multiplicity 1)
B 0.642 0.004 0.144 (multiplicity 1)
B 0.652 0.663 0.019 (multiplicity 1)
B 0.653 0.666 0.519 (multiplicity 1)
B 0.971 0.342 0.396 (multiplicity 1)
B 0.972 0.343 0.894 (multiplicity 1)
O 0.048 0.351 0.750 (multiplicity 1)
O 0.063 0.305 0.252 (multiplicity 1)
O 0.237 0.321 0.912 (multiplicity 1)
O 0.240 0.316 0.412 (multiplicity 1)
O 0.295 0.596 0.263 (multiplicity 1)
O 0.354 0.567 0.759 (multiplicity 1)
O 0.380 0.688 0.027 (multiplicity 1)
O 0.383 0.687 0.527 (multiplicity 1)
O 0.384 0.261 0.625 (multiplicity 1)
O 0.393 0.262 0.124 (multiplicity 1)
O 0.537 0.066 0.793 (multiplicity 1)
O 0.569 0.080 0.290 (multiplicity 1)
O 0.619 0.760 0.665 (multiplicity 1)
O 0.623 0.756 0.160 (multiplicity 1)
____________

My name is Faith Clark and I didn't think that I would die like this, in the beginning, I always thought that I would die in some ditch alone no one knows who I am or care about me but I did not think that my life would turn like this.

My parents, I thought that they were the worst kind but there some other people that worse than them but after I know that I would not be able to think of them other than one beat me up whenever he gets angry and another one would do anything to protect him and making excuses, even when my dad would beat me up to almost to death my mom would not move an inch until he stops, then she came to rescue and to make sure that I would not do something stupid.

I always wanted to run away from home at the first chance that I could and when I got about fifteen years old, my dad took me to a place and told me that I can't be freeloading of him anymore and just put in some sketchy friends of his.

My work was to sell stuff like candy or flower while using my age to make people buy from me as much as possible, there were a lot of people that would give more than I ask and I would not tell my dad's friend about hoping that I would be able to save up some money to run away.

when I was a kid I did not know why but when I started to work with my father's friend he hit only one time and when his friend saw me he did not let me work and with me to my father and they talked, after that my dad did not hit at all only recently I figured out why did that happen and it was because it would be bad for if someone saw me and report it to the police or something like that but I do not care that much about it anymore.

After enough money, I ran away without a second thought about it and I can't say it was the best that I can have but at least for me it was better than home, I tried to get a teaching degree at first it was for helping me to find stable income but then I fell in love with my job and with kids that I hoped that I helped.

## Between two parts of the text: calculated crystals
********
Record 1
{
  "formula": "LiFeSO4F",
  "functional": "PBE with a Hubbard U",
  "state": "optimized geometry",
  "lattice_angstrom": [[5.014, 0.035, -1.564], [2.487, 10.397, 2.582], [0.004, -0.043, 7.403]],
  "species": ["Li", "Li", "Li", "Li", "Fe", "Fe", "Fe", "Fe", "S", "S", "S", "S", "O", "O", "O", "O", "O", "O", "O", "O", "O", "O", "O", "O", "O", "O", "O", "O", "F", "F", "F", "F"],
  "frac_coords": [[0.953, 0.311, 0.476], [0.453, 0.811, 0.976], [0.547, 0.189, 0.024], [0.047, 0.689, 0.524], [0.500, 0.500, 0.000], [0.000, 0.000, 0.000], [0.000, 0.000, 0.500], [0.500, 0.500, 0.500], [0.009, 0.316, 0.928], [0.509, 0.816, 0.428], [0.491, 0.184, 0.572], [0.991, 0.684, 0.072], [0.223, 0.376, 0.025], [0.723, 0.876, 0.525], [0.277, 0.124, 0.475], [0.777, 0.624, 0.975], [0.781, 0.325, 0.011], [0.281, 0.825, 0.511], [0.720, 0.175, 0.489], [0.219, 0.675, 0.989], [0.147, 0.178, 0.971], [0.647, 0.678, 0.471], [0.353, 0.322, 0.529], [0.853, 0.822, 0.029], [0.894, 0.378, 0.710], [0.394, 0.878, 0.210], [0.606, 0.122, 0.790], [0.106, 0.622, 0.290], [0.663, 0.454, 0.300], [0.163, 0.954, 0.800], [0.837, 0.046, 0.200], [0.337, 0.546, 0.700]],
  "relative_energy_kj_per_mol_atoms": 0.0,
  "formation_enthalpy_0k_kj_per_mol_atoms": -211,
  "corrected_energy_ev_per_atom": -6.715
}

---

Record 2
{
  "formula": "Rb2LiFeF6",
  "functional": "PBE with a Hubbard U",
  "state": "optimized geometry",
  "lattice_angstrom": [[-0.253, 10.090, -2.306], [-5.442, 8.799, 0.404], [-0.489, 9.669, 3.669]],
  "species": ["Rb", "Rb", "Rb", "Rb", "Li", "Li", "Fe", "Fe", "F", "F", "F", "F", "F", "F", "F", "F", "F", "F", "F", "F"],
  "frac_coords": [[0.872, 0.872, 0.872], [0.128, 0.128, 0.128], [0.283, 0.283, 0.283], [0.717, 0.717, 0.717], [0.404, 0.404, 0.404], [0.596, 0.596, 0.596], [0.000, 0.000, 0.000], [0.500, 0.500, 0.500], [0.804, 0.804, 0.276], [0.276, 0.804, 0.804], [0.804, 0.276, 0.804], [0.196, 0.724, 0.196], [0.196, 0.196, 0.724], [0.724, 0.196, 0.196], [0.161, 0.608, 0.608], [0.608, 0.608, 0.161], [0.608, 0.161, 0.608], [0.392, 0.839, 0.392], [0.839, 0.392, 0.392], [0.392, 0.392, 0.839]],
  "crystal_system": "trigonal",
  "formation_enthalpy_0k_kj_per_mol_atoms": -286,
  "corrected_energy_ev_per_atom": -5.342
}

---

Record 3
{
  "formula": "SrLiFeF6",
  "functional": "PBE with a Hubbard U",
  "state": "optimized geometry",
  "lattice_angstrom": [[8.923, 0.000, 0.000], [0.000, 5.373, 0.000], [0.000, 0.394, 10.378]],
  "species": ["Sr", "Sr", "Sr", "Sr", "Li", "Li", "Li", "Li", "Fe", "Fe", "Fe", "Fe", "F", "F", "F", "F", "F", "F", "F", "F", "F", "F", "F", "F", "F", "F", "F", "F", "F", "F", "F", "F", "F", "F", "F", "F"],
********

One of the things that I hated about my parents that they made it look like that they are good people even after what they did and they would always force me to go with them to pray to the god that they believed in even though they would not do anything from the book that they believed in and because of that I just do not find it in my heart to believe in any religion at all, I know not all religious people like them but still, I could not forget what happened to me because of them, also I could not be in relationship with anyone because of my childhood, I would always ask if there is really a god why would he or she let someone like them have a kid with them being like that I just could not think of any reason to why I was put in that situation.

And now I am dying I would only hope that I helped the kids in my class and they would grow up to be nice person that would be enough for me.